Politics & Diplomacy Syria
MENASource August 21, 2020

Will nine years of war and deteriorating governance spark a new movement inside Syria?

By Noura Darwish

“Syria is for us, not for Assad’s family. Long live Syria! Down with Bashar al-Assad,” many Syrians chanted in 2011, as demonstrations bloomed across the country. Protesters wanted to emphasize separating Syria from Assad’s family, which has been ruling the country with an iron fist for fifty years. Syrians took to the streets to accomplish this goal but were met with guns and violence.

This past June—over nine years since the 2011 protests started—the same slogan reappeared in demonstrations in Suweida, southern Syria, when hundreds of people took to the streets to express their anger toward the deteriorating economic situation and the government’s failure to manage it. In the past few months, the Syrian pound hit 2,000 pounds to the US dollar on the black market—a record low after it was once 47 pounds to the US dollar before the 2011 protests started. Today, the average monthly salary does not exceed $50, around 85 percent of the population is living in poverty, prices continue to skyrocket, the unemployment rate is at least 50 percent, and international sanctions are exacerbating the economic situation.

During the Suweida protests, which lasted for several weeks over the course of two waves this summer, the same dream seemed present: for Syria to belong to its citizens rather than the ruling family and the corrupt elites who are now controlling much of the country’s economy. In parallel with those demonstrations, which some saw as the beginning of a new revolution in the war-torn country, I started hearing some whispers in Damascus and many other cities, discussing the same idea expressed in the chant: “This country is not ours anymore. Syria has become ‘theirs,’ which is something we cannot accept.” However, “theirs” now refers to war profiteers and the notorious Syrian mukhabarat or intelligence apparatus. What is remarkable is that those very whispers are now voiced by regime loyalists.

So, what has changed now? Is a new movement inside Syria’s regime-controlled areas about to start? What would mobilize people to act and change the status quo? And how would that be different from what happened over a decade ago?

Core regime supporters voice their discontent

In 2011, different segments of Syrian society engaged in the movement: intellectuals, students, workers, farmers, unemployed, etc. Some wanted to improve their situations, others sought political or social goals, while many dreamed of change at large. Those people who led the call for change by starting the revolution have either died, disappeared, or have fled the country, with over half a million dead and millions displaced in total. Those who are still in Syria today, specifically in regime-controlled areas, live in fear after paying a huge price for defying the regime. Many were detained, others were forced from their homes, and almost everyone has lost someone dear and is now living under dire economic circumstances. Those Syrians who are thinking about rising up today are different than those who lit the revolutionary torch in 2011.

## w
## RbMgMoO3 (PBE with a Hubbard U)

Data for a relaxed RbMgMoO3 crystal.

a = 6.744 Å, b = 5.962 Å, c = 4.555 Å
α = 90.00°, β = 100.09°, γ = 90.00°
Fractional coordinates of all 12 atoms:
Rb: 0.000 0.000 0.000
Rb: 0.500 0.500 0.000
Mg: 0.181 0.500 0.325
Mg: 0.681 0.000 0.325
Mo: 0.377 0.000 0.626
Mo: 0.877 0.500 0.626
O: 0.151 0.256 0.591
O: 0.151 0.744 0.591
O: 0.411 0.000 0.103
O: 0.651 0.244 0.591
O: 0.651 0.756 0.591
O: 0.911 0.500 0.103

Properties
- Total magnetization: 3.00 μB per formula unit

=====

## x
## RbMgMoO3 (PBE with a Hubbard U)

Data for a relaxed RbMgMoO3 crystal.

a = 4.206 Å, b = 4.206 Å, c = 5.119 Å
α = 90.00°, β = 90.00°, γ = 90.00°
Fractional coordinates of all 6 atoms:
Rb: 0.000 0.000 0.000
Mg: 0.000 0.000 0.500
Mo: 0.500 0.500 0.500
O: 0.000 0.500 0.500
O: 0.500 0.000 0.500
O: 0.500 0.500 0.000

Properties
- Total magnetization: 3.00 μB per formula unit

=====

Relative energies, unit eV/atom: w 0.000; x 0.225

* * * * *

1.
Compound: Ba3Nb16O23
Source: the Materials Project database
Functional: r²SCAN
Structure: optimized geometry

- VASP energy: -17.112 eV/atom
- Energy of formation: -2.53 eV per atom

POSCAR file:
```
Ba3Nb16O23
1.0
6.288 -10.566 0.000
6.288 10.566 0.000
0.000 0.000 4.201
Ba Nb O
3 16 23
direct
0.000 0.000 0.000
0.201 0.799 0.000
0.799 0.201 0.000
0.068 0.270 0.500
0.138 0.528 0.500
0.227 0.431 0.000
0.270 0.068 0.500
0.327 0.327 0.500
0.399 0.601 0.500
0.431 0.227 0.000
0.472 0.862 0.500
0.528 0.138 0.500
0.569 0.773 0.000
0.601 0.399 0.500
0.673 0.673 0.500
0.730 0.932 0.500
0.773 0.569 0.000
0.862 0.472 0.500
0.932 0.730 0.500
0.034 0.634 0.500
0.062 0.260 0.000
0.103 0.897 0.500
0.140 0.540 0.000
0.159 0.159 0.500
0.260 0.062 0.000
0.299 0.701 0.500
0.334 0.334 0.000
0.366 0.966 0.500
0.403 0.597 0.000
0.460 0.860 0.000
0.500 0.500 0.500
0.540 0.140 0.000
0.597 0.403 0.000
0.634 0.034 0.500
0.666 0.666 0.000
0.701 0.299 0.500
0.740 0.938 0.000
0.841 0.841 0.500
0.860 0.460 0.000
0.897 0.103 0.500
0.938 0.740 0.000
0.966 0.366 0.500
```

***

2.
Compound: Ba3Nb2O8
Source: the Materials Project database
Functional: r²SCAN
Structure: optimized geometry

- VASP energy: -16.638 eV/atom
- Energy of formation: -3.04 eV per atom

POSCAR file:
```
Ba3Nb2O8
1.0
3.047 1.759 7.188
-3.047 1.759 7.188
0.000 -3.518 7.188
Ba Nb O
3 2 8
direct
0.000 0.000 0.000
0.200 0.200 0.200
0.800 0.800 0.800
0.406 0.406 0.406
0.594 0.594 0.594
0.231 0.732 0.732
0.268 0.268 0.769
0.268 0.769 0.268
0.320 0.320 0.320
0.680 0.680 0.680
0.732 0.231 0.732
0.732 0.732 0.231
0.769 0.268 0.268
```

***

3.
Compound: Ba2Nb5O9
Source: the Materials Project database
Functional: r²SCAN
Structure: optimized geometry

- VASP energy: -17.113 eV/atom
- Energy of formation: -2.71 eV per atom

POSCAR file:
```
Ba2Nb5O9
1.0
4.212 0.000 0.000
0.000 4.212 0.000
0.000 0.000 12.337
Ba Nb O
2 5 9
direct
0.000 0.000 0.169
0.000 0.000 0.831
0.000 0.500 0.500
0.500 0.000 0.500
0.500 0.500 0.000
0.500 0.500 0.338
0.500 0.500 0.662

A 40-year-old man who lives in Damascus and owns a big grocery store recently told me, “If people went out to the streets, I would go demonstrate with them. The situation is intolerable.” Despite being a staunch Assad loyalist, he is frustrated with certain widespread practices perpetrated by shabiha, thugs connected to the regime, or by government administrations. He is specifically angry at the Ministry of Internal Trade and Consumer Protection, which is responsible for monitoring supplies and handing out fines for storing expired food, selling illegal goods, and so forth. Ministries and state institutions, like the aforementioned, are scouring money from any potential source. The grocery store owner had to pay huge bribes to both customs and the Trade Ministry just to keep his business open. If he had refused, he would have faced false accusations that he is working outside the law—charges such as importing unauthorized goods—and would be forced to close his shop and potentially face time in prison, as has happened to thousands of businessmen and traders in the past months. “Is this our reward for being loyalists?” he wondered.

A friend who works in the technology sector faced such charges even though he had not broken any law or dealt in illicit goods. He had to sell his car just to pay the bribes and keep his private business going. Another private sector employee asked me: “Are we going to reelect Bashar al-Assad next year, even though he led the country to hell?” Her statement represents a complete change in stance—she had happily voted for Assad during the last presidential elections in 2014.

Thousands of Syrians across the country share those thoughts, regardless of their political or ideological affiliation: soldiers who gave everything and got nothing in return; small and medium businessmen and traders whose livelihoods are now threatened; and employees, students, and workers who feel that their lives can turn upside down in a moment by shabiha or intelligence agents. There is a universal feeling that the rule of law no longer exists and that even being loyal to the regime cannot guarantee your safety.

What makes this relevant is that their desperate situation has pushed them past their fears and, thus, they might be willing to act given the right moment and impetus. At this point, many of them have nothing to lose. Syrians have long since given up on the international community and help from neighboring countries is unlikely as they are struggling with their own internal problems. The only feasible way to improve Syria’s situation is to work from within.

Whether civil society can tap into popular discontent remains to be seen

The atmosphere is tense in regime-held areas, but the movement has yet to rekindle. Syrians who want to see change need to tap into shared grievances and goals to unite the community. Almost every Syrian in the current moment is searching for a better life and feels that the onus of improving circumstances—even just one’s own—lies in taking matters into one’s own hands. They do not feel like they can rely on a completely paralyzed government, which is unable to stop the deterioration of the economy and the country, is powerless to uphold the law, and is actively undermining any form of good governance. Activists and community leaders need to focus on these shared grievances and the actions they can take to address them when trying to mobilize Syrians.

The protests in Suweida give hope, but the southern governorate’s situation is different than Damascus. In large part because of its Druze religious leaders, their relations with the Syrian authorities, and their reluctance to enter in direct confrontation with the regime, the city has seen relatively little fighting. Nonetheless, its civil society remains relatively strong. Although Suweida has suffered from arrests and repression like other regime-controlled areas, the influence of Druze leaders and powerful local families has helped limit central government control and even led to a push back against overly oppressive commanders assigned to controlling the governorate. This relative lack of central government oppression is also likely what allowed the Suweida protests to happen in June.

Civil society in regime-controlled areas must be strengthened, rebuilt, and reconfigured so that activists can implement new mobilization techniques that are tailored to new environments and circumstances. The tools used in 2011—such as distributing flyers and general strikes—are already obsolete. The old slogans need to be changed to avoid scaring people into thinking that the 2011 scenario—a brutal, seemingly never-ending war—will be repeated. Even the regime’s strongest supporters are discussing the necessity of fighting corruption and ending the rule of the shabiha and the supremacy of the security sector. This is not a chance to be missed.

Unbearable living conditions and a lack of hope in both the Assad regime and the international community have pushed Syrians to a new level of anger and outrage. It would be a mistake to think that this alone will push people to act after nine years of war and so much loss. However, it would be a bigger mistake to let this opportunity slip without trying to seize it in order to bring positive change to the Syrian people who are so desperately in need of it.

Noura Darwish is a journalist living in Damascus. She is writing under a pseudonym for her safety.

Image: A man walks past a banner depicting Syrian president Bashar al-Assad in Douma, outside Damascus, Syria VIA REUTERS.